Of all the ridiculous things that make it in the news Starbucks got into 'hot water' when some interest group found out that they are using beetle juice to add color to the pink concoctions sold at their outlets. Now beetle juice to a ghati or desi of certain persuasion might mean the deep reds left to dry on railway stations or public spaces where an errant truant has used the space as their personal spitoon. This after chewing on beetle nut and calcium powder squeezed between beetle leaves.
What the largest coffee company resturant got into trouble was the actual use of the bug - not the car - the critter, specifically its ground up extracts that have the ability to lend a pinkish hue to the beverage that contains it.
Frankly all the moronic people that want to consume the IT brand run the risk of consuming a hitherto unknown quantity of chemicals or substance which is what makes it new and unique. But we do not know this when we buy and now want a piece of the action through a potential class action. Class idiocy more like!
Many such examples continue to make the headlines what with McD still unable to get out off being sued for old hack like scalding an unattentive person Again when said unattentive and likely brainless person dumped the beverage on self instead of proceeding to drink it as is expected.
Then there is the new and improved cola wars that have gone to a head with intrusive style of advertising boinging its way into a web site that you are perusing. These pop ups boast more taste, more kick, less sugar and same great COLA taste. I mean have people not got over COLAting themselves already?
# Here the article breaks off for records of crystals
~~~
1.
Computed powder diffraction line list of Pr2MgMn2Ge2O10 for Cu Kα X-rays, from a structure optimized by DFT (GGA+U).
Lines closer than 0.1° are merged.

Cell and atoms:
abc: 5.822 6.325 6.892
angles: 88.63 80.73 74.20
Space group P1 (No. 1)
Symmetry-distinct sites (fractional):
Pr 0.000 0.000 0.000 (multiplicity 1)
Pr 0.280 0.436 0.641 (multiplicity 1)
Mg 0.464 0.912 0.358 (multiplicity 1)
Mn 0.635 0.724 0.826 (multiplicity 1)
Mn 0.818 0.523 0.292 (multiplicity 1)
Ge 0.383 0.394 0.092 (multiplicity 1)
Ge 0.900 0.038 0.543 (multiplicity 1)
O 0.116 0.983 0.326 (multiplicity 1)
O 0.181 0.446 0.316 (multiplicity 1)
O 0.320 0.201 0.941 (multiplicity 1)
O 0.321 0.637 0.944 (multiplicity 1)
O 0.552 0.651 0.533 (multiplicity 1)
O 0.595 0.113 0.506 (multiplicity 1)
O 0.690 0.325 0.121 (multiplicity 1)
O 0.710 0.803 0.116 (multiplicity 1)
O 0.953 0.798 0.698 (multiplicity 1)
O 0.962 0.231 0.695 (multiplicity 1)

Largest 12 diffraction maxima, by intensity, 2θ from 15° to 90°:
d 3.039, I 100, (1 2 0)
d 2.949, I 99, (1 1 2)
d 3.630, I 96, (1 -1 0)
d 2.995, I 69, (0 1 -2)
d 2.823, I 66, (2 1 0)
d 3.056, I 57, (-1 1 1)
d 1.704, I 46, (3 2 2)
d 4.792, I 36, (1 1 0)
d 2.337, I 27, (2 0 2)
d 2.642, I 27, (1 -1 2)
d 1.711, I 24, (3 0 -1)
d 2.330, I 24, (1 -2 1)

---

2.
Computed powder diffraction line list of MgV4Ge4O16 for Cu Kα X-rays, from a structure optimized by DFT (GGA+U).
Lines closer than 0.1° are merged.

Cell and atoms:
abc: 4.548 4.768 11.567
angles: 90.02 90.14 90.53
Space group P1 (No. 1)
Symmetry-distinct sites (fractional):
Mg 0.000 0.000 0.000 (multiplicity 1)
V 0.004 0.009 0.503 (multiplicity 1)
V 0.004 0.508 0.369 (multiplicity 1)
V 0.492 0.501 0.866 (multiplicity 1)
V 0.500 0.014 0.998 (multiplicity 1)
Ge 0.503 0.009 0.259 (multiplicity 1)
Ge 0.506 0.510 0.614 (multiplicity 1)
Ge 0.997 0.505 0.125 (multiplicity 1)
Ge 0.997 0.999 0.747 (multiplicity 1)
O 0.227 0.838 0.623 (multiplicity 1)
O 0.232 0.340 0.247 (multiplicity 1)
O 0.234 0.845 0.870 (multiplicity 1)
O 0.237 0.344 0.007 (multiplicity 1)
O 0.252 0.834 0.372 (multiplicity 1)
O 0.253 0.335 0.495 (multiplicity 1)
O 0.268 0.843 0.127 (multiplicity 1)
O 0.282 0.333 0.739 (multiplicity 1)
O 0.727 0.678 0.738 (multiplicity 1)
O 0.742 0.172 0.129 (multiplicity 1)
O 0.752 0.666 0.004 (multiplicity 1)
O 0.753 0.182 0.372 (multiplicity 1)
O 0.753 0.681 0.495 (multiplicity 1)
O 0.761 0.161 0.871 (multiplicity 1)
O 0.773 0.676 0.246 (multiplicity 1)
O 0.780 0.176 0.623 (multiplicity 1)

Largest 12 diffraction maxima, by intensity, 2θ from 15° to 90°:
d 3.179, I 100, (-1 1 1)
d 3.152, I 98, (1 1 1)
d 2.941, I 66, (1 0 -3)
d 2.473, I 60, (0 1 -4)
d 1.393, I 31, (0 3 -4)
d 2.384, I 27, (0 2 0)
d 2.062, I 24, (1 0 5)
d 1.679, I 23, (-2 1 4)
d 1.676, I 23, (2 -1 4)
d 1.653, I 22, (2 -2 0)
d 1.638, I 22, (2 2 0)
d 1.668, I 22, (2 1 4)

---

3.
Computed powder diffraction line list of MgVGe2O6 for Cu Kα X-rays, from a structure optimized by DFT (GGA+U).
Lines closer than 0.1° are merged.
~~~
# Back to the article
Then there are the newest of teas - right - not coffees but teas sold through outlets sold like Teavana - some Nirvana through moderated caffiene dosing. Coffee has taken on a new format too through one time use flavored coffee cups called K cups - I know they had to find a letter not used by the women underwear industry otherwise we would have had a serious tempest in a cup!
[What comes next are crystal structures, not part of the text]
........
Calculated X-ray diffraction stick pattern of NaPaGaBr6 for Cu Kα X-rays, from the PBE geometry in Alexandria.

Peak list (10 most intense, 2θ from 10° to 90°, by angle)
(hkl)  2θ/deg  I_rel
1 0 0  13.42  22
0 0 2  13.57  27
1 0 1  15.05  43
1 0 2  19.13  28
1 1 2  27.11  100
1 1 4  36.26  59
3 0 0  41.04  39
2 -1 6  48.18  21
4 -2 2  49.87  18
3 0 8  72.10  18

Structure:
```
data_NaPaGaBr6
_space_group_name_H-M_alt 'P -3 1 c'
_space_group_IT_number 163
_space_group_name_Hall '-P 3 2c'
_cell_length_a 7.6187
_cell_length_b 7.6187
_cell_length_c 13.0482
_cell_angle_alpha 90.00
_cell_angle_beta 90.00
_cell_angle_gamma 120.00
loop_
_atom_site_label
_atom_site_type_symbol
_atom_site_fract_x
_atom_site_fract_y
_atom_site_fract_z
Na1 Na 0.0000 0.0000 0.0000
Pa1 Pa 0.3333 0.6667 0.2500
Ga1 Ga 0.3333 0.6667 0.7500
Br1 Br 0.0308 0.3602 0.1274
```

=====

Structure and calculated PXRD pattern of MgNi2Bi4O12 (a cell relaxed with GGA+U; a wavelength of 1.5418 Å).

Structural model:
abc: 5.431 9.748 5.437
angles: 90.00 101.07 90.00
Space group Pm (No. 6)
Inequivalent atoms, fractional coordinates:
Mg: 0.000 0.000 0.000 (multiplicity 1)
Ni: 0.323 0.000 0.680 (multiplicity 1)
Ni: 0.852 0.500 0.151 (multiplicity 1)
Bi: 0.279 0.335 0.725 (multiplicity 2)
Bi: 0.717 0.183 0.287 (multiplicity 2)
O: 0.000 0.000 0.377 (multiplicity 1)
O: 0.099 0.500 0.904 (multiplicity 1)
O: 0.146 0.152 0.854 (multiplicity 2)
O: 0.446 0.500 0.559 (multiplicity 1)
O: 0.466 0.172 0.539 (multiplicity 2)
O: 0.604 0.345 0.021 (multiplicity 2)
O: 0.623 0.000 0.004 (multiplicity 1)
O: 0.984 0.346 0.399 (multiplicity 2)

Most intense lines, 2θ from 15° to 90°, sorted by position:
18.97°, I 35, hkl 1 1 0
21.18°, I 76, hkl 1 0 -1
25.79°, I 67, hkl 1 0 1
........
I like chocolates. Godiva Dark with Almonds - not sure of the naked woman on the horse to be the icon of some choice cocoa based products but tastes good. Started in Belgium but now owned by some Turks. Cadburys - Fruit and Nut Milk Bars - awesome combination of dried fruit pieces along with a medley of nuts makes your toungue dance - started by a Brit now owen by Kraft USA. Lindt Hazelnut spheres - made by a Swiss confectioner are divine balls that melt in your mouth with a lingering nutty taste Ghirardelli Milk Crisp Squares - crunchy and light these milk squares are easy on the palate but pack some serious calories - all good I say! Originally founded by an Italian who moved around till he landed in SF Bay today also owned by the Swiss Lindt empire.
Why this Colaveri Di (after the new Indian national anthem) should be the Cola Giants' stolen tagline- position the cola as the solution to the angst, of course..